The City Assessor is Looking for Info – Respond Promptly, Avoid Penalties
Do you own or manage a commercial, hotel or multi-family property in the City of Winnipeg? If so, the City Assessor has likely sent you a formal request for income, expense and rent roll information. The Assessor is looking for operating statements ending in 2020, or with year-end dates closest to April 2, 2021. The City Assessor will use the information gathered to create the next general assessment for the 2023/24 taxation years.
The deadline for completing the questionnaires and returning them to the department is Thursday, May 6, 2021.
It is critical for you to complete these forms in full and return them by the requested deadline. Failure to do so may amount to significant penalties under The Municipal Assessment Act.
How does the penalty apply?
Every year, owners have the right to appeal their assessments to the Board of Revision. If the Board reduces the assessment on appeal, that revised assessment will generally carry forward to the second year.
However, if a taxpayer fails to respond to the Assessor’s information request and later successfully appeals the assessment – any reduction to that assessment will be deferred for one year: the owner will be penalized for non-compliance and will have to pay taxes on the inflated assessment. The owner effectively forfeits any tax savings for the year.
• Misplaced materials data:
=====
(1)
Compound: Sn2P3O10
Source: the Materials Project database
Functional: PBE
Structure: relaxed

abc: 8.038 9.775 12.626
angles: 76.57 90.00 90.00
Sites, in units of the cell vectors:
O1 0.198 0.317 0.693
O2 0.583 0.342 0.699
O3 0.022 0.737 0.936
O4 0.391 0.378 0.067
O5 0.698 0.183 0.307
O6 0.886 0.438 0.282
O7 0.609 0.622 0.933
O8 0.280 0.502 0.473
O9 0.224 0.625 0.081
O10 0.724 0.875 0.919
O11 0.917 0.842 0.699
O12 0.397 0.121 0.312
O13 0.417 0.658 0.301
O14 0.720 0.498 0.527
O15 0.067 0.343 0.865
O16 0.802 0.683 0.307
O17 0.109 0.878 0.067
O18 0.308 0.429 0.287
O19 0.897 0.379 0.688
O20 0.276 0.125 0.081
O21 0.103 0.621 0.312
O22 0.978 0.263 0.064
O23 0.933 0.657 0.135
O24 0.614 0.938 0.282
O25 0.522 0.763 0.064
O26 0.083 0.158 0.301
O27 0.808 0.071 0.713
O28 0.433 0.843 0.865
O29 0.567 0.157 0.135
O30 0.780 0.998 0.527
O31 0.192 0.929 0.287
O32 0.114 0.562 0.718
O33 0.776 0.375 0.919
O34 0.478 0.237 0.936
O35 0.692 0.571 0.713
O36 0.302 0.817 0.693
O37 0.220 0.002 0.473
O38 0.603 0.879 0.688
O39 0.386 0.062 0.718
O40 0.891 0.122 0.933
P1 0.575 0.092 0.265
P2 0.581 0.772 0.947
P3 0.081 0.728 0.053
P4 0.075 0.408 0.735
P5 0.282 0.545 0.351
P6 0.718 0.455 0.649
P7 0.425 0.908 0.735
P8 0.419 0.228 0.053
P9 0.218 0.045 0.351
P10 0.919 0.272 0.947
P11 0.782 0.955 0.649
P12 0.925 0.592 0.265
Sn1 0.608 0.734 0.409
Sn2 0.448 0.548 0.147
Sn3 0.552 0.452 0.853
Sn4 0.392 0.266 0.591
Sn5 0.948 0.952 0.853
Sn6 0.108 0.766 0.591
Sn7 0.052 0.048 0.147
Sn8 0.892 0.234 0.409

Summary:
As for the total energy: -406.3 eV for the cell shown. As for the offset from the most stable computed form: 49 meV/atom. The energy relative to the elements comes out at -2313 meV/atom. The space group is No. 14. The magnetic moment is 1.00 μB per formula unit.

(2)
Compound: SnP2O7
Source: the Materials Project database
Functional: PBE
Structure: relaxed

abc: 5.175 8.750 13.760
angles: 64.37 90.00 90.00
Sites, in units of the cell vectors:
O1 0.783 0.319 0.758
O2 0.918 0.272 0.938
O3 0.688 0.511 0.065
O4 0.717 0.319 0.258
O5 0.037 0.192 0.412
O6 0.958 0.719 0.863
O7 0.840 0.018 0.895
O8 0.071 0.795 0.376
O9 0.042 0.281 0.137
O10 0.312 0.489 0.935
O11 0.340 0.982 0.605
O12 0.217 0.681 0.242
O13 0.160 0.982 0.105
O14 0.283 0.681 0.742
O15 0.542 0.719 0.363
O16 0.429 0.795 0.876
O17 0.929 0.205 0.624
O18 0.582 0.272 0.438
O19 0.458 0.281 0.637
O20 0.082 0.728 0.062
O21 0.188 0.489 0.435
O22 0.537 0.808 0.088
O23 0.418 0.728 0.562
O24 0.812 0.511 0.565
O25 0.463 0.192 0.912
O26 0.963 0.808 0.588
O27 0.571 0.205 0.124
O28 0.660 0.018 0.395
Sn1 0.754 0.765 0.474
Sn2 0.246 0.235 0.526
Sn3 0.746 0.765 0.974
Sn4 0.254 0.235 0.026
P1 0.258 0.670 0.361
P2 0.749 0.191 0.882
P3 0.249 0.809 0.618
P4 0.742 0.330 0.639
P5 0.758 0.330 0.139
P6 0.751 0.191 0.382
P7 0.251 0.809 0.118
P8 0.242 0.670 0.861

Summary:
=====
We have seen some rather extreme examples in the past several years: properties being over assessed by several million dollars, later reduced on appeal, but the penalty for non-compliance results in the forfeiture of tens of thousands of dollars in tax that would otherwise not have been payable – stressing the importance of completing and returning the information mailer time.
The information mailer has changed this year with the addition of questions related to the impacts of COVID-19 on the owner’s revenue stream. Some of the questions call for an exercise in judgment – i.e. whether the pandemic has had a “minor”, “moderate” or “significant” impact. Other questions include: whether tenants have closed permanently due to public health measures; whether operating expenses have increased in response to COVID-19; and details of any rent deferrals or rent abatements due to the pandemic.
For many commercial property owners, the full impact of the pandemic on their operations will be unknown for some time. If information is not presently available, owners should clarify that in their response. If respondents leave sections blank, the City Assessor will likely flag that omission and later argue non-compliance if owners file an assessment appeal at a later time. The end result may be a substantial penalty and an inflated assessment.
Seek an extension if you cannot meet the deadline.
If you are unable to respond by the deadline of May 6, 2021, you should submit a written request for an extension immediately. The Assessor has been amenable to such extensions in the past.
Owners may make requests for extension to the City Assessment Department via the City’s general email address Be sure to reference the property address and specific roll number(s) to which the information request relates.
We would be pleased to assist your organization in responding to the Assessor’s information requests and any other inquiries relating to the realty assessment appeal process in Manitoba. Please contact a member of our Municipal Law team.